(Given)
+++
This record from Materials Project describes an optimized crystal structure of BaMnGe. The functional is GGA-PBE.

Geometry as POSCAR:
```
BaMnGe
1.0
4.734 0.000 0.000
0.000 4.734 0.000
0.000 0.000 8.143
Ba Mn Ge
2 2 2
Direct
0.250 0.250 0.170 Ba
0.750 0.750 0.830 Ba
0.250 0.750 0.500 Mn
0.750 0.250 0.500 Mn
0.250 0.250 0.677 Ge
0.750 0.750 0.323 Ge
```

Properties
The spin magnetization comes out at 9.12 Bohr magnetons per cell. The crystal system is tetragonal. For the formation energy, the calculation gives -168 meV/atom.
+++

(Request)
Set down the lines earlier on without additions, please.

(Solution)
This record from Materials Project describes an optimized crystal structure of BaMnGe. The functional is GGA-PBE.

Geometry as POSCAR:
```
BaMnGe
1.0
4.734 0.000 0.000
0.000 4.734 0.000
0.000 0.000 8.143
Ba Mn Ge
2 2 2
Direct
0.250 0.250 0.170 Ba
0.750 0.750 0.830 Ba
0.250 0.750 0.500 Mn
0.750 0.250 0.500 Mn
0.250 0.250 0.677 Ge
0.750 0.750 0.323 Ge
```

Properties
The spin magnetization comes out at 9.12 Bohr magnetons per cell. The crystal system is tetragonal. For the formation energy, the calculation gives -168 meV/atom.